Job:
Work out how many lines underneath have the word "PBE" in them; a number is enough, please.
Listing:
=====
Arrangement one

Mn12O7F17 (PBE with a Hubbard U, optimized geometry); symmetry = P1 (1)
1.0
-4.4314 2.4364 -0.0966
-2.0714 -2.8174 4.4801
5.1847 10.5284 9.9094
Mn O F
12 7 17
Direct
0.9703 0.9105 0.9983
0.0301 0.6138 0.8329
0.9829 0.9340 0.6601
0.0149 0.4566 0.4965
0.9700 0.8863 0.3305
0.9471 0.4814 0.1794
0.5365 0.1187 0.8289
0.5140 0.3848 0.0050
0.5326 0.5654 0.3414
0.5058 0.1003 0.4887
0.5169 0.5565 0.6810
0.4901 0.0146 0.1683
0.8090 0.8844 0.8873
0.7210 0.1222 0.0585
0.7094 0.7729 0.2522
0.8229 0.6842 0.7318
0.8200 0.6616 0.4099
0.3505 0.3843 0.4302
0.3227 0.4057 0.7807
0.7841 0.1869 0.7314
0.8369 0.1540 0.4185
0.6651 0.8661 0.5786
0.7543 0.3817 0.9003
0.7473 0.6217 0.0664
0.6500 0.2945 0.2448
0.6888 0.3681 0.5731
0.2615 0.3386 0.1038
0.2316 0.6276 0.9469
0.1916 0.6401 0.5984
0.2143 0.6000 0.2688
0.1764 0.1426 0.5705
0.2975 0.1230 0.9349
0.1381 0.0979 0.2478
0.3032 0.8817 0.4027
0.1960 0.8438 0.1006
0.2967 0.8934 0.7508


Arrangement two

Mn12O7F17 (PBE with a Hubbard U, optimized geometry); symmetry = P1 (1)
1.0
-3.8950 0.5614 -2.8221
0.2713 -5.3248 -2.3394
-9.3375 -5.8255 11.3658
Mn O F
12 7 17
Direct
0.0030 0.8231 0.4168
0.9679 0.1665 0.2452
0.0042 0.8464 0.0843
0.9949 0.8489 0.7467
0.9918 0.1830 0.5832
0.9900 0.1707 0.9047
0.4898 0.6488 0.5955
0.4915 0.6727 0.9269
0.5053 0.6479 0.2570
0.4928 0.3365 0.0842
0.4911 0.3493 0.4070
0.5132 0.3485 0.7470
0.7777 0.1129 0.1338
0.7762 0.1113 0.7959
0.7177 0.3929 0.3089
0.7073 0.3953 0.6427
0.2750 0.6091 0.0366
0.2865 0.6095 0.3573
0.2664 0.6096 0.6966
0.7633 0.8903 0.3072
0.7769 0.8902 0.6378
0.7866 0.8866 0.9744
0.7570 0.1216 0.4684
0.7350 0.6184 0.1500
0.7232 0.6204 0.4880
0.7504 0.6184 0.8159
0.7314 0.3820 0.9805
0.2731 0.3720 0.1905
0.2670 0.3837 0.5144
0.3008 0.3792 0.8566
0.2350 0.8749 0.1962
0.2379 0.8810 0.5317
0.2137 0.1096 0.3562
0.2410 0.1045 0.0187
0.2281 0.8813 0.8529
0.2374 0.1030 0.6904


Arrangement three

Mn12O7F17 (PBE with a Hubbard U, optimized geometry); symmetry = P1 (1)
1.0
-0.0382 -4.3328 -1.8966
4.0623 -1.9050 3.6704
-11.2915 -4.5685 10.4070
Mn O F
12 7 17
Direct
0.9993 0.1524 0.4157
0.0269 0.8374 0.2397
0.0039 0.8601 0.9162
0.0162 0.1549 0.0769
0.0320 0.8540 0.5774
0.0079 0.1654 0.7390
0.4935 0.3303 0.5928
0.4981 0.3263 0.9292
0.5339 0.3378 0.2601
0.4912 0.6499 0.0834
0.5085 0.6566 0.4199
0.5253 0.6420 0.7507
0.2225 0.1188 0.6370
0.2099 0.1195 0.9705
0.2342 0.8877 0.1284
0.2233 0.8877 0.4651
0.7107 0.3829 0.0325
0.7357 0.3891 0.3717
0.7177 0.3676 0.6931
0.2169 0.1213 0.3065
0.2370 0.8950 0.8003
0.2643 0.3989 0.1493
0.2767 0.6162 0.3129
0.2649 0.3873 0.4843
0.2744 0.3851 0.8172
0.2560 0.6116 0.6476
0.2543 0.6170 0.9765
0.7223 0.6200 0.1935
0.7160 0.6135 0.5340
0.7337 0.6122 0.8675
0.7581 0.8914 0.3504
0.7881 0.1226 0.1845
0.7592 0.1143 0.5190
0.7399 0.8817 0.0223
0.7700 0.1178 0.8483
0.7775 0.8736 0.6865


arrangement two (20 meV per atom below the next structure)


# CdAs4O16 PBE optimized geometry
data_CdAs4O16
_chemical_formula_sum 'Cd1 As4 O16'
_cell_length_a 5.787
_cell_length_b 7.142
_cell_length_c 8.737
_cell_angle_alpha 103.48
_cell_angle_beta 93.71
_cell_angle_gamma 91.55
_symmetry_space_group_name_H-M 'P -1'
_symmetry_Int_Tables_number 2
_symmetry_space_group_name_Hall '-P 1'
loop_
_atom_site_label
_atom_site_fract_x
_atom_site_fract_y
_atom_site_fract_z
_atom_site_occupancy
Cd1 0.000 0.000 0.000 1
As1 0.143 0.457 0.253 1
As2 0.478 0.071 0.771 1
O1 0.020 0.683 0.306 1
O2 0.057 0.726 0.825 1
O3 0.229 0.874 0.180 1
O4 0.249 0.454 0.443 1
O5 0.325 0.138 0.935 1
O6 0.361 0.471 0.129 1
O7 0.374 0.156 0.611 1
O8 0.436 0.824 0.690 1
# Corrected total energy (MP2020 scheme)   -113.77 eV per cell
# Calculated total energy   -4.894 eV/atom

# Cs2MoSe4 PBE optimized geometry
data_Cs2MoSe4
_chemical_formula_sum 'Cs8 Mo4 Se16'
_cell_length_a 10.666
_cell_length_b 7.611
_cell_length_c 13.477
_cell_angle_alpha 90.00
_cell_angle_beta 90.00
_cell_angle_gamma 90.00
_symmetry_space_group_name_H-M 'P n m a'
_symmetry_Int_Tables_number 62
=====
Written answer:
5